• Contents:
A cluster of 2 separate species, C6H7NO2 in total, computed with the ωB97M-V functional and the def2-TZVPD basis.

Output
HOMO-LUMO gap (spin up / spin down)	8.3 / 8.3	eV
charge	0
HOMO level (spin up / spin down)	-8.4 / -8.4	eV

Last column: Mulliken charge in e.
Positions of all 16 atoms, in Å:
C 0.485 2.090 0.597  -0.7430
C 1.346 2.091 -0.468  -0.4572
C -0.151 0.817 0.565  0.7548
C 0.478 0.145 -0.392  -0.3090
C 0.305 -2.121 -1.399  0.1699
C -1.061 0.228 1.541  -0.8623
N -0.863 -2.940 -1.340  -0.4167
O 1.324 0.909 -1.147  -0.3134
O 0.322 -3.076 -0.478  -0.2446
H 0.378 2.797 1.332  0.4726
H 1.875 2.810 -0.923  0.5111
H 0.829 -1.871 -2.278  0.3530
H -2.006 0.970 1.411  0.2412
H -1.083 -0.836 1.246  0.2187
H -0.605 0.451 2.489  0.2780
H -1.574 -2.463 -0.755  0.3471

A cluster of 2 separate species, C8H19F2NP in total, computed with the ωB97M-V functional and the def2-TZVPD basis.

Output
HOMO-LUMO gap	5.4	eV
charge	+1
HOMO level	-11.9	eV

Last column: Mulliken charge in e.
Positions of all 31 atoms, in Å:
C -3.000 1.749 0.753  -0.5587
C 3.099 -2.023 1.103  -1.1954
C 3.157 0.334 -1.487  -1.0431
C -3.667 1.083 -0.487  -0.4180
C -3.741 -0.344 -0.388  0.2365
C 2.688 -0.587 1.472  -0.5068
C 2.409 1.046 -0.304  -0.8923
C -3.229 -1.176 -1.547  -1.0823
N 1.793 0.136 0.638  0.3752
F -0.548 0.352 -0.482  -0.3589
F -0.151 -0.994 1.530  -0.2778
P 0.246 0.481 1.065  0.1094
H -3.418 1.330 1.724  0.3364
H -3.136 2.786 0.828  0.4172
H -2.018 1.408 0.572  -0.1810
H 3.749 -2.127 0.290  0.3601
H 3.771 -2.338 2.047  0.3067
H 2.295 -2.695 0.830  0.3195
H 2.818 -0.725 -1.566  0.2534
H 2.928 0.881 -2.353  0.3639
H 4.200 0.386 -1.177  0.3051
H -3.078 1.417 -1.338  0.2534
H -4.573 1.538 -0.530  0.5112
H -3.321 -0.605 -2.470  0.3352
H -4.100 -0.786 0.510  0.4354
H 2.384 -0.580 2.549  0.4566
H 3.717 -0.020 1.465  0.2816
H 3.170 1.595 0.214  0.4999
H 1.715 1.751 -0.554  0.5817
H -3.942 -1.876 -1.638  0.4486
H -2.216 -1.397 -1.271  0.3273

A cluster of 2 separate species, C5H8BrI in total, computed with the ωB97M-V functional and the def2-TZVPD basis.

Output
HOMO-LUMO gap (spin up / spin down)	6.6 / 6.6	eV
charge	0
HOMO level (spin up / spin down)	-7.8 / -7.9	eV

Last column: Mulliken charge in e.
Positions of all 15 atoms, in Å:
C -2.742 -2.186 0.335  -0.3308
C -1.795 -0.013 -0.322  -0.6438
C -0.646 -0.415 1.574  -0.9434
C 0.133 1.591 0.175  -1.4346
C -0.448 0.142 0.183  0.7974
Br -4.416 -1.618 0.675  -0.0294
I -3.083 1.635 -0.590  0.1326
H -2.550 -2.409 -0.736  0.2035
H 0.285 -0.698 2.171  0.3133
H -1.227 -1.373 1.263  0.3373
H -1.402 0.114 2.206  0.2577
H 0.198 1.987 -0.840  0.3981
H 1.120 1.660 0.567  0.3968
H -0.558 2.312 0.694  0.3115
H 0.128 -0.604 -0.434  0.2337

Going through the records in order, we get relative energy (zero: lowest compared OMol25 entry of this formula, charge and spin) values of 769.98, 25.16, 606.24 kJ/mol.

* * * * *

(1)
This record from the OMol25 dataset describes 3 unconnected molecules or ions with the total composition C39H36BrClF7N3O9S4 at a distorted geometry. The level of theory is ωB97M-V/def2-TZVPD.

As for the SMILES: C=Cc1c(Br)c2c(c(CCCS)c1OCC)N(S)c1c(CC)c(S(=O)(=O)C(F)(F)C(F)(F)C(F)(F)F)c(CCOC=O)c(Cl)c1S2.O=[N+]([O-])c1ccccc1.O=[N+]([O-])c1ccccc1. The calculation puts the LUMO energy at -0.0212 Eh. Its net charge is 0. As for the highest occupied orbital energy: -8.22 eV. For the orbital gap, the calculation gives 7.638 eV.

CARTESIAN COORDINATES (ANGSTROEM)
C: -3.04 -4.07 5.11
C: -3.17 -3.06 4.27
C: -2.14 -2.63 3.31
C: -2.39 -2.70 1.93
Br: -4.06 -3.34 1.32
C: -1.40 -2.33 0.99
C: -0.15 -1.89 1.42
C: 0.13 -1.79 2.80
C: 1.46 -1.33 3.31
C: 1.47 0.16 3.59
C: 2.80 0.62 4.17
S: 2.67 1.52 5.75
C: -0.87 -2.14 3.72
O: -0.56 -2.08 5.05
C: -1.40 -1.30 5.91
C: -0.63 -0.21 6.60
N: 0.89 -1.62 0.46
S: 1.63 -3.14 -0.05
C: 0.45 -0.85 -0.67
C: 1.31 0.13 -1.20
C: 2.66 0.28 -0.57
C: 2.77 1.35 0.52
C: 0.86 0.86 -2.35
S: 1.93 2.10 -3.02
O: 2.64 2.78 -1.98
O: 1.29 2.91 -4.02
C: 3.24 1.15 -3.97
F: 3.17 -0.14 -3.62
F: 2.98 1.25 -5.27

• Request:
Start at the top of the notes earlier on and return each line, ending with the one that has "0.45 -0.85".

• Response:
A cluster of 2 separate species, C6H7NO2 in total, computed with the ωB97M-V functional and the def2-TZVPD basis.

Output
HOMO-LUMO gap (spin up / spin down)	8.3 / 8.3	eV
charge	0
HOMO level (spin up / spin down)	-8.4 / -8.4	eV

Last column: Mulliken charge in e.
Positions of all 16 atoms, in Å:
C 0.485 2.090 0.597  -0.7430
C 1.346 2.091 -0.468  -0.4572
C -0.151 0.817 0.565  0.7548
C 0.478 0.145 -0.392  -0.3090
C 0.305 -2.121 -1.399  0.1699
C -1.061 0.228 1.541  -0.8623
N -0.863 -2.940 -1.340  -0.4167
O 1.324 0.909 -1.147  -0.3134
O 0.322 -3.076 -0.478  -0.2446
H 0.378 2.797 1.332  0.4726
H 1.875 2.810 -0.923  0.5111
H 0.829 -1.871 -2.278  0.3530
H -2.006 0.970 1.411  0.2412
H -1.083 -0.836 1.246  0.2187
H -0.605 0.451 2.489  0.2780
H -1.574 -2.463 -0.755  0.3471

A cluster of 2 separate species, C8H19F2NP in total, computed with the ωB97M-V functional and the def2-TZVPD basis.

Output
HOMO-LUMO gap	5.4	eV
charge	+1
HOMO level	-11.9	eV

Last column: Mulliken charge in e.
Positions of all 31 atoms, in Å:
C -3.000 1.749 0.753  -0.5587
C 3.099 -2.023 1.103  -1.1954
C 3.157 0.334 -1.487  -1.0431
C -3.667 1.083 -0.487  -0.4180
C -3.741 -0.344 -0.388  0.2365
C 2.688 -0.587 1.472  -0.5068
C 2.409 1.046 -0.304  -0.8923
C -3.229 -1.176 -1.547  -1.0823
N 1.793 0.136 0.638  0.3752
F -0.548 0.352 -0.482  -0.3589
F -0.151 -0.994 1.530  -0.2778
P 0.246 0.481 1.065  0.1094
H -3.418 1.330 1.724  0.3364
H -3.136 2.786 0.828  0.4172
H -2.018 1.408 0.572  -0.1810
H 3.749 -2.127 0.290  0.3601
H 3.771 -2.338 2.047  0.3067
H 2.295 -2.695 0.830  0.3195
H 2.818 -0.725 -1.566  0.2534
H 2.928 0.881 -2.353  0.3639
H 4.200 0.386 -1.177  0.3051
H -3.078 1.417 -1.338  0.2534
H -4.573 1.538 -0.530  0.5112
H -3.321 -0.605 -2.470  0.3352
H -4.100 -0.786 0.510  0.4354
H 2.384 -0.580 2.549  0.4566
H 3.717 -0.020 1.465  0.2816
H 3.170 1.595 0.214  0.4999
H 1.715 1.751 -0.554  0.5817
H -3.942 -1.876 -1.638  0.4486
H -2.216 -1.397 -1.271  0.3273

A cluster of 2 separate species, C5H8BrI in total, computed with the ωB97M-V functional and the def2-TZVPD basis.

Output
HOMO-LUMO gap (spin up / spin down)	6.6 / 6.6	eV
charge	0
HOMO level (spin up / spin down)	-7.8 / -7.9	eV

Last column: Mulliken charge in e.
Positions of all 15 atoms, in Å:
C -2.742 -2.186 0.335  -0.3308
C -1.795 -0.013 -0.322  -0.6438
C -0.646 -0.415 1.574  -0.9434
C 0.133 1.591 0.175  -1.4346
C -0.448 0.142 0.183  0.7974
Br -4.416 -1.618 0.675  -0.0294
I -3.083 1.635 -0.590  0.1326
H -2.550 -2.409 -0.736  0.2035
H 0.285 -0.698 2.171  0.3133
H -1.227 -1.373 1.263  0.3373
H -1.402 0.114 2.206  0.2577
H 0.198 1.987 -0.840  0.3981
H 1.120 1.660 0.567  0.3968
H -0.558 2.312 0.694  0.3115
H 0.128 -0.604 -0.434  0.2337

Going through the records in order, we get relative energy (zero: lowest compared OMol25 entry of this formula, charge and spin) values of 769.98, 25.16, 606.24 kJ/mol.

* * * * *

(1)
This record from the OMol25 dataset describes 3 unconnected molecules or ions with the total composition C39H36BrClF7N3O9S4 at a distorted geometry. The level of theory is ωB97M-V/def2-TZVPD.

As for the SMILES: C=Cc1c(Br)c2c(c(CCCS)c1OCC)N(S)c1c(CC)c(S(=O)(=O)C(F)(F)C(F)(F)C(F)(F)F)c(CCOC=O)c(Cl)c1S2.O=[N+]([O-])c1ccccc1.O=[N+]([O-])c1ccccc1. The calculation puts the LUMO energy at -0.0212 Eh. Its net charge is 0. As for the highest occupied orbital energy: -8.22 eV. For the orbital gap, the calculation gives 7.638 eV.

CARTESIAN COORDINATES (ANGSTROEM)
C: -3.04 -4.07 5.11
C: -3.17 -3.06 4.27
C: -2.14 -2.63 3.31
C: -2.39 -2.70 1.93
Br: -4.06 -3.34 1.32
C: -1.40 -2.33 0.99
C: -0.15 -1.89 1.42
C: 0.13 -1.79 2.80
C: 1.46 -1.33 3.31
C: 1.47 0.16 3.59
C: 2.80 0.62 4.17
S: 2.67 1.52 5.75
C: -0.87 -2.14 3.72
O: -0.56 -2.08 5.05
C: -1.40 -1.30 5.91
C: -0.63 -0.21 6.60
N: 0.89 -1.62 0.46
S: 1.63 -3.14 -0.05
C: 0.45 -0.85 -0.67